It remains to find the line further down that holds "0.5000 0.7500", then duplicate that line and all lines after it there.
┌──
(1)
K5Bi4 | the Materials Project | PBE-GGA | optimized geometry; crystal system = monoclinic; calculated total energy = -24.27 eV per cell; space group = C2/m, No. 12
1.0
2.8364 6.4091 0.0000
-2.8364 6.4091 0.0000
0.0000 4.2613 10.9264
K Bi
5 4
Direct
0.9045 0.9045 0.3896
0.7564 0.7564 0.8324
0.0000 0.0000 0.0000
0.2436 0.2436 0.1676
0.0955 0.0955 0.6104
0.5449 0.5449 0.1675
0.3903 0.3903 0.6098
0.4551 0.4551 0.8325
0.6097 0.6097 0.3902


(2)
ThB2Os2 | the Materials Project | PBE-GGA | optimized geometry; crystal system = orthorhombic; energy relative to the lowest polymorph listed for this composition = 0.000 eV/atom; space group = Fddd, No. 70
1.0
3.3547 1.1754 5.8407
1.6699 5.3129 2.4117
-2.6229 0.6318 4.9434
B Os Th
4 4 2
Direct
0.9336 0.5664 0.9336
0.6836 0.3164 0.6836
0.3164 0.6836 0.3164
0.5664 0.9336 0.5664
0.8870 0.8870 0.6130
0.3630 0.3630 0.6370
0.6130 0.6130 0.8870
0.6370 0.6370 0.3630
0.2500 0.2500 0.2500
0.0000 0.0000 0.0000


(3)
Na3Si34 | the Materials Project | PBE-GGA | optimized geometry; crystal system = trigonal; calculated total energy = -187.47 eV per cell; space group = R-3m, No. 166
1.0
-7.8966 6.0195 3.1833
-4.7372 -1.9616 9.0794
1.2866 6.4731 8.0727
Si Na
34 3
Direct
0.3707 0.3707 0.9944
0.7635 0.3712 0.3712
0.2367 0.6290 0.0052
0.6290 0.0052 0.2367
0.7633 0.3710 0.9948
0.1254 0.1254 0.1254
0.3707 0.9944 0.3707
0.1530 0.7821 0.7821
0.3712 0.3712 0.7635
0.6293 0.0056 0.6293
0.3710 0.9948 0.7633
0.6288 0.6288 0.2365
0.2365 0.6288 0.6288
0.9948 0.7633 0.3710
0.2367 0.0052 0.6290
0.2179 0.2179 0.8470
0.8746 0.8746 0.8746
0.7821 0.1530 0.7821
0.3712 0.7635 0.3712
0.8470 0.2179 0.2179
0.6288 0.2365 0.6288
0.0052 0.2367 0.6290
0.0052 0.6290 0.2367
0.7633 0.9948 0.3710
0.0056 0.6293 0.6293
0.9948 0.3710 0.7633
0.3710 0.7633 0.9948
0.6290 0.2367 0.0052
0.7821 0.7821 0.1530
0.2179 0.8470 0.2179
0.9944 0.3707 0.3707
0.2176 0.2176 0.2176
0.6293 0.6293 0.0056
0.7824 0.7824 0.7824
0.6250 0.6250 0.6250
0.0000 0.0000 0.0000
0.3750 0.3750 0.3750


(4)
Er2Si5Ru3 | the Materials Project | PBE-GGA | optimized geometry; crystal system = orthorhombic; calculated total energy = -145.13 eV per cell; space group = Ibam, No. 72
1.0
-2.7923 4.8011 6.0722
2.7923 -4.8011 6.0722
2.7923 4.8011 -6.0722
Si Ru Er
10 6 4
Direct
0.0000 0.7500 0.7500
0.5749 0.9049 0.6700
0.2928 0.5428 0.2500
0.2349 0.4049 0.8300
0.2928 0.0428 0.7500
0.7651 0.5951 0.1700
0.7072 0.9572 0.2500
0.7072 0.4572 0.7500
0.4251 0.0951 0.3300
0.0000 0.2500 0.2500
0.5000 0.2500 0.7500
0.5000 0.7500 0.2500
0.2389 0.1466 0.0924
0.9458 0.3534 0.5924
0.0542 0.6466 0.4076
0.7611 0.8534 0.9076
0.9037 0.1360 0.7677
0.3683 0.6360 0.7323
0.6317 0.3640 0.2677
0.0963 0.8640 0.2323


(5)
Zn2Sn9O13 | the Materials Project | PBE-GGA | optimized geometry; crystal system = triclinic; calculated total energy = -132.90 eV per cell; space group = P-1, No. 2
1.0
3.1886 0.0000 0.0000
-1.5729 7.7386 0.0000
-1.5041 -3.4392 15.5878
Sn O Zn
9 13 2
Direct
0.2485 0.1750 0.3104
0.4335 0.7769 0.0951
0.5665 0.2231 0.9049
0.1494 0.2008 0.1040
0.6287 0.8519 0.3991
0.3713 0.1481 0.6009
0.7515 0.8250 0.6896
0.0000 0.5000 0.5000
0.8506 0.7992 0.8960
0.6009 0.0604 0.1516
0.9552 0.3310 0.5871
0.0448 0.6690 0.4129
0.0000 0.0000 0.0000
0.7055 0.6293 0.7722
0.3131 0.6769 0.9449
0.5099 0.7279 0.2695
0.6869 0.3231 0.0551
0.4002 0.3634 0.4311
0.5998 0.6366 0.5689
0.2945 0.3707 0.2278
0.3991 0.9396 0.8484
0.4901 0.2721 0.7305
0.0827 0.4377 0.7448
0.9173 0.5623 0.2552


(6)
EuEr2S4 | the Materials Project | PBE-GGA | optimized geometry; crystal system = orthorhombic; energy relative to the lowest polymorph listed for this composition = 0.000 eV/atom; space group = Pnma, No. 62
1.0
3.9429 0.0000 0.0000
0.0000 11.8888 0.0000
0.0000 0.0000 14.2044
S Eu Er
16 4 8
Direct
0.2500 0.4122 0.5789
0.7500 0.0878 0.0789
0.2500 0.0229 0.2842
0.7500 0.5878 0.4211
0.2500 0.5229 0.2158
0.7500 0.2926 0.3243
0.7500 0.8689 0.4717
0.7500 0.3689 0.0283
0.2500 0.7074 0.6757
0.2500 0.6311 0.9717
0.7500 0.4771 0.7842
└──
0.5000 0.7500 0.2500
0.2389 0.1466 0.0924
0.9458 0.3534 0.5924
0.0542 0.6466 0.4076
0.7611 0.8534 0.9076
0.9037 0.1360 0.7677
0.3683 0.6360 0.7323
0.6317 0.3640 0.2677
0.0963 0.8640 0.2323


(5)
Zn2Sn9O13 | the Materials Project | PBE-GGA | optimized geometry; crystal system = triclinic; calculated total energy = -132.90 eV per cell; space group = P-1, No. 2
1.0
3.1886 0.0000 0.0000
-1.5729 7.7386 0.0000
-1.5041 -3.4392 15.5878
Sn O Zn
9 13 2
Direct
0.2485 0.1750 0.3104
0.4335 0.7769 0.0951
0.5665 0.2231 0.9049
0.1494 0.2008 0.1040
0.6287 0.8519 0.3991
0.3713 0.1481 0.6009
0.7515 0.8250 0.6896
0.0000 0.5000 0.5000
0.8506 0.7992 0.8960
0.6009 0.0604 0.1516
0.9552 0.3310 0.5871
0.0448 0.6690 0.4129
0.0000 0.0000 0.0000
0.7055 0.6293 0.7722
0.3131 0.6769 0.9449
0.5099 0.7279 0.2695
0.6869 0.3231 0.0551
0.4002 0.3634 0.4311
0.5998 0.6366 0.5689
0.2945 0.3707 0.2278
0.3991 0.9396 0.8484
0.4901 0.2721 0.7305
0.0827 0.4377 0.7448
0.9173 0.5623 0.2552


(6)
EuEr2S4 | the Materials Project | PBE-GGA | optimized geometry; crystal system = orthorhombic; energy relative to the lowest polymorph listed for this composition = 0.000 eV/atom; space group = Pnma, No. 62
1.0
3.9429 0.0000 0.0000
0.0000 11.8888 0.0000
0.0000 0.0000 14.2044
S Eu Er
16 4 8
Direct
0.2500 0.4122 0.5789
0.7500 0.0878 0.0789
0.2500 0.0229 0.2842
0.7500 0.5878 0.4211
0.2500 0.5229 0.2158
0.7500 0.2926 0.3243
0.7500 0.8689 0.4717
0.7500 0.3689 0.0283
0.2500 0.7074 0.6757
0.2500 0.6311 0.9717
0.7500 0.4771 0.7842